**Source**
=====
Record 1
Entry from the Materials Project: crystalline MgSi2 at its relaxed geometry (PBE).

E above lowest polymorph in kcal/mol of atoms: 2.41
ΔE_f in eV/atom: 0.182
E in eV/atom: -4.0154

abc: 4.5399 5.1262 9.6252
angles: 87.82 89.01 65.27
Fractional coordinates of all 12 atoms:
Mg  0.0969  0.2979  0.8887
Mg  0.9031  0.7021  0.1113
Mg  0.7499  0.9968  0.3910
Mg  0.2501  0.0032  0.6090
Si  0.6070  0.2959  0.0910
Si  0.3930  0.7041  0.9090
Si  0.5336  0.4177  0.6984
Si  0.0636  0.3766  0.3766
Si  0.7823  0.9375  0.8257
Si  0.2177  0.0625  0.1743
Si  0.4664  0.5823  0.3016
Si  0.9364  0.6234  0.6234



Record 2
Entry from the Materials Project: crystalline PuSi6H54C18N3 at its relaxed geometry (PBE).

ΔE_f in eV/atom: -0.268
E in eV/atom: -5.3912

abc: 16.3926 16.3926 9.4720
angles: 90.00 90.00 120.00
Fractional coordinates of all 164 atoms:
Pu  0.3333  0.6667  0.3034
Pu  0.6667  0.3333  0.8034
Si  0.1702  0.7139  0.1198
Si  0.2844  0.8308  0.3782
Si  0.1692  0.4537  0.3782
Si  0.2861  0.4563  0.1198
Si  0.5437  0.8298  0.1198
Si  0.5463  0.7156  0.3782
Si  0.4563  0.2861  0.6198
Si  0.4537  0.1692  0.8782
Si  0.7156  0.5463  0.8782
Si  0.8298  0.5437  0.6198
Si  0.7139  0.1702  0.6198
Si  0.8308  0.2844  0.8782
H  0.0075  0.6279  0.6197
H  0.0357  0.6916  0.2725
H  0.1364  0.8386  0.4287
H  0.1204  0.7823  0.9312
H  0.1621  0.8630  0.0737
H  0.0385  0.5850  0.2613
H  0.1440  0.7572  0.5439
H  0.2172  0.8803  0.5709
H  0.2435  0.8561  0.9569
H  0.0089  0.3803  0.8799
H  0.0386  0.4536  0.2390
H  0.1243  0.6205  0.9056
H  0.3090  0.9656  0.2270
H  0.0344  0.3434  0.2270
H  0.1257  0.5028  0.5913
H  0.1717  0.6027  0.4820
H  0.3714  0.9911  0.8799
H  0.1729  0.5703  0.0205
H  0.2483  0.6744  0.9234
H  0.4150  0.9614  0.2390
H  0.3771  0.8743  0.5913
H  0.3259  0.7517  0.5794
H  0.2483  0.5743  0.5794
H  0.1197  0.3369  0.5709
H  0.1439  0.3874  0.9569
H  0.3974  0.8271  0.0205
H  0.1370  0.2991  0.0737
H  0.1614  0.2978  0.4287
H  0.4310  0.8283  0.4820
H  0.2428  0.3869  0.5439
H  0.2177  0.3382  0.9312
H  0.3256  0.5739  0.9234
H  0.4261  0.7517  0.9234
H  0.4962  0.8757  0.9056
H  0.5465  0.9615  0.2613
H  0.4257  0.6741  0.5794
H  0.3973  0.5690  0.4820
H  0.6203  0.9925  0.6197
H  0.4297  0.6026  0.0205
H  0.3795  0.5038  0.9056
H  0.3084  0.3440  0.2725
H  0.6560  0.9643  0.2725
H  0.4972  0.6229  0.5913
H  0.4150  0.4535  0.2613
H  0.3721  0.3797  0.6197
H  0.3797  0.3721  0.1197
H  0.6131  0.8560  0.5439
H  0.3440  0.3084  0.7725
H  0.6618  0.8796  0.9312
H  0.2978  0.1614  0.9287
H  0.3382  0.2177  0.4312
H  0.6126  0.7565  0.9569
H  0.2991  0.1370  0.5737
H  0.4535  0.4150  0.7613
H  0.5464  0.5850  0.2390
H  0.7022  0.8636  0.4287
H  0.3869  0.2428  0.0439
H  0.6631  0.7828  0.5709
H  0.7009  0.8379  0.0737
H  0.3369  0.1197  0.0709
H  0.6566  0.6910  0.2270
H  0.3874  0.1439  0.4569
H  0.6197  0.6286  0.8799
H  0.6286  0.6197  0.3799
H  0.5850  0.5464  0.7390
H  0.5038  0.3795  0.4056
H  0.3434  0.0344  0.7270
H  0.6910  0.6566  0.7270
H  0.6229  0.4972  0.0913
H  0.5690  0.3973  0.9820
H  0.3803  0.0089  0.3799
H  0.6026  0.4297  0.5205
H  0.5739  0.3256  0.4234
H  0.4536  0.0386  0.7390
H  0.5028  0.1257  0.0913
H  0.5743  0.2483  0.0794
H  0.6741  0.4257  0.0794
H  0.7828  0.6631  0.0709
H  0.7565  0.6126  0.4569
H  0.5703  0.1729  0.5205
H  0.8379  0.7009  0.5737
H  0.8636  0.7022  0.9287
H  0.6027  0.1717  0.9820
H  0.8560  0.6131  0.0439
H  0.8796  0.6618  0.4312
H  0.7517  0.4261  0.4234
H  0.6744  0.2483  0.4234
H  0.6205  0.1243  0.4056
H  0.5850  0.0385  0.7613
H  0.7517  0.3259  0.0794
H  0.8283  0.4310  0.9820
H  0.6279  0.0075  0.1197
H  0.8271  0.3974  0.5205
H  0.8757  0.4962  0.4056
H  0.9643  0.6560  0.7725
H  0.6916  0.0357  0.7725
H  0.8743  0.3771  0.0913
H  0.9615  0.5465  0.7613
H  0.9925  0.6203  0.1197
H  0.7572  0.1440  0.0439
H  0.7823  0.1204  0.4312
H  0.8561  0.2435  0.4569
H  0.9614  0.4150  0.7390
H  0.8386  0.1364  0.9287
H  0.8803  0.2172  0.0709
H  0.8630  0.1621  0.5737
=====

**Exercise**
Repeat the material further up from the line with "MgSi2 at" to the end word for word, please.

**Here it is**
Entry from the Materials Project: crystalline MgSi2 at its relaxed geometry (PBE).

E above lowest polymorph in kcal/mol of atoms: 2.41
ΔE_f in eV/atom: 0.182
E in eV/atom: -4.0154

abc: 4.5399 5.1262 9.6252
angles: 87.82 89.01 65.27
Fractional coordinates of all 12 atoms:
Mg  0.0969  0.2979  0.8887
Mg  0.9031  0.7021  0.1113
Mg  0.7499  0.9968  0.3910
Mg  0.2501  0.0032  0.6090
Si  0.6070  0.2959  0.0910
Si  0.3930  0.7041  0.9090
Si  0.5336  0.4177  0.6984
Si  0.0636  0.3766  0.3766
Si  0.7823  0.9375  0.8257
Si  0.2177  0.0625  0.1743
Si  0.4664  0.5823  0.3016
Si  0.9364  0.6234  0.6234



Record 2
Entry from the Materials Project: crystalline PuSi6H54C18N3 at its relaxed geometry (PBE).

ΔE_f in eV/atom: -0.268
E in eV/atom: -5.3912

abc: 16.3926 16.3926 9.4720
angles: 90.00 90.00 120.00
Fractional coordinates of all 164 atoms:
Pu  0.3333  0.6667  0.3034
Pu  0.6667  0.3333  0.8034
Si  0.1702  0.7139  0.1198
Si  0.2844  0.8308  0.3782
Si  0.1692  0.4537  0.3782
Si  0.2861  0.4563  0.1198
Si  0.5437  0.8298  0.1198
Si  0.5463  0.7156  0.3782
Si  0.4563  0.2861  0.6198
Si  0.4537  0.1692  0.8782
Si  0.7156  0.5463  0.8782
Si  0.8298  0.5437  0.6198
Si  0.7139  0.1702  0.6198
Si  0.8308  0.2844  0.8782
H  0.0075  0.6279  0.6197
H  0.0357  0.6916  0.2725
H  0.1364  0.8386  0.4287
H  0.1204  0.7823  0.9312
H  0.1621  0.8630  0.0737
H  0.0385  0.5850  0.2613
H  0.1440  0.7572  0.5439
H  0.2172  0.8803  0.5709
H  0.2435  0.8561  0.9569
H  0.0089  0.3803  0.8799
H  0.0386  0.4536  0.2390
H  0.1243  0.6205  0.9056
H  0.3090  0.9656  0.2270
H  0.0344  0.3434  0.2270
H  0.1257  0.5028  0.5913
H  0.1717  0.6027  0.4820
H  0.3714  0.9911  0.8799
H  0.1729  0.5703  0.0205
H  0.2483  0.6744  0.9234
H  0.4150  0.9614  0.2390
H  0.3771  0.8743  0.5913
H  0.3259  0.7517  0.5794
H  0.2483  0.5743  0.5794
H  0.1197  0.3369  0.5709
H  0.1439  0.3874  0.9569
H  0.3974  0.8271  0.0205
H  0.1370  0.2991  0.0737
H  0.1614  0.2978  0.4287
H  0.4310  0.8283  0.4820
H  0.2428  0.3869  0.5439
H  0.2177  0.3382  0.9312
H  0.3256  0.5739  0.9234
H  0.4261  0.7517  0.9234
H  0.4962  0.8757  0.9056
H  0.5465  0.9615  0.2613
H  0.4257  0.6741  0.5794
H  0.3973  0.5690  0.4820
H  0.6203  0.9925  0.6197
H  0.4297  0.6026  0.0205
H  0.3795  0.5038  0.9056
H  0.3084  0.3440  0.2725
H  0.6560  0.9643  0.2725
H  0.4972  0.6229  0.5913
H  0.4150  0.4535  0.2613
H  0.3721  0.3797  0.6197
H  0.3797  0.3721  0.1197
H  0.6131  0.8560  0.5439
H  0.3440  0.3084  0.7725
H  0.6618  0.8796  0.9312
H  0.2978  0.1614  0.9287
H  0.3382  0.2177  0.4312
H  0.6126  0.7565  0.9569
H  0.2991  0.1370  0.5737
H  0.4535  0.4150  0.7613
H  0.5464  0.5850  0.2390
H  0.7022  0.8636  0.4287
H  0.3869  0.2428  0.0439
H  0.6631  0.7828  0.5709
H  0.7009  0.8379  0.0737
H  0.3369  0.1197  0.0709
H  0.6566  0.6910  0.2270
H  0.3874  0.1439  0.4569
H  0.6197  0.6286  0.8799
H  0.6286  0.6197  0.3799
H  0.5850  0.5464  0.7390
H  0.5038  0.3795  0.4056
H  0.3434  0.0344  0.7270
H  0.6910  0.6566  0.7270
H  0.6229  0.4972  0.0913
H  0.5690  0.3973  0.9820
H  0.3803  0.0089  0.3799
H  0.6026  0.4297  0.5205
H  0.5739  0.3256  0.4234
H  0.4536  0.0386  0.7390
H  0.5028  0.1257  0.0913
H  0.5743  0.2483  0.0794
H  0.6741  0.4257  0.0794
H  0.7828  0.6631  0.0709
H  0.7565  0.6126  0.4569
H  0.5703  0.1729  0.5205
H  0.8379  0.7009  0.5737
H  0.8636  0.7022  0.9287
H  0.6027  0.1717  0.9820
H  0.8560  0.6131  0.0439
H  0.8796  0.6618  0.4312
H  0.7517  0.4261  0.4234
H  0.6744  0.2483  0.4234
H  0.6205  0.1243  0.4056
H  0.5850  0.0385  0.7613
H  0.7517  0.3259  0.0794
H  0.8283  0.4310  0.9820
H  0.6279  0.0075  0.1197
H  0.8271  0.3974  0.5205
H  0.8757  0.4962  0.4056
H  0.9643  0.6560  0.7725
H  0.6916  0.0357  0.7725
H  0.8743  0.3771  0.0913
H  0.9615  0.5465  0.7613
H  0.9925  0.6203  0.1197
H  0.7572  0.1440  0.0439
H  0.7823  0.1204  0.4312
H  0.8561  0.2435  0.4569
H  0.9614  0.4150  0.7390
H  0.8386  0.1364  0.9287
H  0.8803  0.2172  0.0709
H  0.8630  0.1621  0.5737